Next, return the whole of the lines underneath without altering anything.

[1]
Structure and calculated powder X-ray diffraction pattern of PmPaTcRh (a crystal structure in Alexandria, relaxed with GGA-PBE; Cu Kα).

Cell and atoms:
Cell: 6.951 6.951 6.951 Å, 90.00 90.00 90.00°
Space group F-43m (No. 216)
Unique sites:
Pm: 0.000 0.000 0.000 [4 per cell]
Pa: 0.000 0.000 0.500 [4 per cell]
Tc: 0.250 0.250 0.250 [4 per cell]
Rh: 0.250 0.250 0.750 [4 per cell]

Most intense lines, 2θ from 10° to 80°, most intense first:
index  Position (°2θ)  intensity
2 2 0  36.6  100.0
4 2 2  65.8  36.0
4 0 0  52.7  17.6
4 4 0  77.7  11.2
2 0 0  25.6  9.9
4 2 0  59.5  4.4
1 1 1  22.2  4.1
2 2 2  45.2  3.2
3 1 1  43.2  2.4
3 3 1  57.8  1.1

***

[2]
Structure and calculated powder X-ray diffraction pattern of Pm5PaRu6 (a crystal structure in Alexandria, relaxed with GGA-PBE; Cu Kα).

Cell and atoms:
Cell: 4.975 14.609 6.994 Å, 90.00 90.00 90.00°
Space group Cmmm (No. 65)
Unique sites:
Pm: 0.000 0.000 0.000 [2 per cell]
Pm: 0.000 0.330 0.500 [4 per cell]
Pm: 0.000 0.333 0.000 [4 per cell]
Pa: 0.000 0.000 0.500 [2 per cell]
Ru: 0.000 0.151 0.269 [8 per cell]
Ru: 0.000 0.500 0.268 [4 per cell]

Most intense lines, 2θ from 10° to 80°, most intense first:
index  Position (°2θ)  intensity
1 3 2  36.4  100.0
3 3 2  65.2  26.8
2 0 0  36.1  26.7
0 6 0  36.9  23.0
2 6 0  52.6  16.6
1 9 2  66.2  14.6
2 6 4  77.4  9.8
0 0 4  52.3  8.5
0 6 4  65.7  7.8
1 3 0  25.6  6.4

***

[3]
Structure and calculated powder X-ray diffraction pattern of PmPaRu (a crystal structure in Alexandria, relaxed with GGA-PBE; Cu Kα).

Cell and atoms:
Cell: 7.592 5.887 3.727 Å, 90.00 90.00 90.00°
Space group Pmma (No. 51)
Unique sites:
Pm: 0.250 0.000 0.188 [2 per cell]
Pa: 0.000 0.500 0.500 [2 per cell]
Ru: 0.250 0.500 0.966 [2 per cell]

Most intense lines, 2θ from 10° to 80°, most intense first:
index  Position (°2θ)  intensity
0 2 0  30.4  100.0
2 0 1  33.7  98.1
2 2 1  46.0  97.1
2 1 0  28.0  78.0
0 1 0  15.0  76.6
2 1 1  37.1  76.3
1 1 1  30.7  42.8
0 1 2  51.4  37.0
0 1 1  28.3  33.5
4 2 0  57.8  32.8

***

[4]
Structure and calculated powder X-ray diffraction pattern of Pm2SmPaRu2 (a crystal structure in Alexandria, relaxed with GGA-PBE; Cu Kα).

Cell and atoms:
Cell: 7.045 13.548 6.841 Å, 90.00 90.00 90.00°
Space group Ibam (No. 72)
Unique sites:
Pm: 0.207 0.195 0.000 [8 per cell]
Sm: 0.000 0.500 0.250 [4 per cell]
Pa: 0.000 0.000 0.250 [4 per cell]
Ru: 0.206 0.097 0.500 [8 per cell]

Most intense lines, 2θ from 10° to 80°, most intense first:
index  Position (°2θ)  intensity
2 0 2  36.6  100.0
0 2 2  29.3  82.3
2 2 0  28.6  77.2
1 4 1  32.1  73.2
0 2 0  13.1  43.6
0 4 2  37.4  33.1
1 1 0  14.2  33.0
2 4 0  36.8  32.3
2 8 0  60.7  30.0
1 6 1  44.2  22.2

***

[5]
Structure and calculated powder X-ray diffraction pattern of Pm2ThPa2Ru5 (a crystal structure in Alexandria, relaxed with GGA-PBE; Cu Kα).

Cell and atoms:
Cell: 10.674 10.674 3.772 Å, 90.00 90.00 90.00°
Space group P4/mbm (No. 127)
Unique sites:
Pm: 0.175 0.325 0.000 [4 per cell]
Th: 0.000 0.000 0.000 [2 per cell]
Pa: 0.132 0.632 0.000 [4 per cell]
Ru: 0.000 0.500 0.500 [2 per cell]
Ru: 0.057 0.793 0.500 [8 per cell]

Most intense lines, 2θ from 10° to 80°, most intense first:
index  Position (°2θ)  intensity
3 1 1  35.7  100.0
3 2 1  38.7  26.4
0 0 2  48.2  25.4
3 1 0  26.4  20.7
2 2 1  33.6  19.3
2 1 0  18.6  14.8
4 1 0  34.6  14.7
6 3 0  58.0  13.8
4 0 1  41.4  12.9
4 2 0  37.7  12.5

***

[6]
Structure and calculated powder X-ray diffraction pattern of PmY2PaRu2 (a crystal structure in Alexandria, relaxed with GGA-PBE; Cu Kα).

Cell and atoms:
Cell: 7.100 13.608 6.743 Å, 90.00 90.00 90.00°
Space group Ibam (No. 72)
Unique sites:
Pm: 0.000 0.000 0.250 [4 per cell]
Y: 0.173 0.299 0.000 [8 per cell]
Pa: 0.000 0.500 0.250 [4 per cell]
Ru: 0.199 0.399 0.500 [8 per cell]

Most intense lines, 2θ from 10° to 80°, most intense first:
index  Position (°2θ)  intensity
0 2 0  13.0  100.0
2 0 2  36.8  87.0
0 2 2  29.6  80.1
2 2 0  28.4  70.2
1 1 0  14.1  52.0
2 4 0  36.6  48.2
0 4 2  37.6  46.4

[1]
Structure and calculated powder X-ray diffraction pattern of PmPaTcRh (a crystal structure in Alexandria, relaxed with GGA-PBE; Cu Kα).

Cell and atoms:
Cell: 6.951 6.951 6.951 Å, 90.00 90.00 90.00°
Space group F-43m (No. 216)
Unique sites:
Pm: 0.000 0.000 0.000 [4 per cell]
Pa: 0.000 0.000 0.500 [4 per cell]
Tc: 0.250 0.250 0.250 [4 per cell]
Rh: 0.250 0.250 0.750 [4 per cell]

Most intense lines, 2θ from 10° to 80°, most intense first:
index  Position (°2θ)  intensity
2 2 0  36.6  100.0
4 2 2  65.8  36.0
4 0 0  52.7  17.6
4 4 0  77.7  11.2
2 0 0  25.6  9.9
4 2 0  59.5  4.4
1 1 1  22.2  4.1
2 2 2  45.2  3.2
3 1 1  43.2  2.4
3 3 1  57.8  1.1

***

[2]
Structure and calculated powder X-ray diffraction pattern of Pm5PaRu6 (a crystal structure in Alexandria, relaxed with GGA-PBE; Cu Kα).

Cell and atoms:
Cell: 4.975 14.609 6.994 Å, 90.00 90.00 90.00°
Space group Cmmm (No. 65)
Unique sites:
Pm: 0.000 0.000 0.000 [2 per cell]
Pm: 0.000 0.330 0.500 [4 per cell]
Pm: 0.000 0.333 0.000 [4 per cell]
Pa: 0.000 0.000 0.500 [2 per cell]
Ru: 0.000 0.151 0.269 [8 per cell]
Ru: 0.000 0.500 0.268 [4 per cell]

Most intense lines, 2θ from 10° to 80°, most intense first:
index  Position (°2θ)  intensity
1 3 2  36.4  100.0
3 3 2  65.2  26.8
2 0 0  36.1  26.7
0 6 0  36.9  23.0
2 6 0  52.6  16.6
1 9 2  66.2  14.6
2 6 4  77.4  9.8
0 0 4  52.3  8.5
0 6 4  65.7  7.8
1 3 0  25.6  6.4

***

[3]
Structure and calculated powder X-ray diffraction pattern of PmPaRu (a crystal structure in Alexandria, relaxed with GGA-PBE; Cu Kα).

Cell and atoms:
Cell: 7.592 5.887 3.727 Å, 90.00 90.00 90.00°
Space group Pmma (No. 51)
Unique sites:
Pm: 0.250 0.000 0.188 [2 per cell]
Pa: 0.000 0.500 0.500 [2 per cell]
Ru: 0.250 0.500 0.966 [2 per cell]

Most intense lines, 2θ from 10° to 80°, most intense first:
index  Position (°2θ)  intensity
0 2 0  30.4  100.0
2 0 1  33.7  98.1
2 2 1  46.0  97.1
2 1 0  28.0  78.0
0 1 0  15.0  76.6
2 1 1  37.1  76.3
1 1 1  30.7  42.8
0 1 2  51.4  37.0
0 1 1  28.3  33.5
4 2 0  57.8  32.8

***

[4]
Structure and calculated powder X-ray diffraction pattern of Pm2SmPaRu2 (a crystal structure in Alexandria, relaxed with GGA-PBE; Cu Kα).

Cell and atoms:
Cell: 7.045 13.548 6.841 Å, 90.00 90.00 90.00°
Space group Ibam (No. 72)
Unique sites:
Pm: 0.207 0.195 0.000 [8 per cell]
Sm: 0.000 0.500 0.250 [4 per cell]
Pa: 0.000 0.000 0.250 [4 per cell]
Ru: 0.206 0.097 0.500 [8 per cell]

Most intense lines, 2θ from 10° to 80°, most intense first:
index  Position (°2θ)  intensity
2 0 2  36.6  100.0
0 2 2  29.3  82.3
2 2 0  28.6  77.2
1 4 1  32.1  73.2
0 2 0  13.1  43.6
0 4 2  37.4  33.1
1 1 0  14.2  33.0
2 4 0  36.8  32.3
2 8 0  60.7  30.0
1 6 1  44.2  22.2

***

[5]
Structure and calculated powder X-ray diffraction pattern of Pm2ThPa2Ru5 (a crystal structure in Alexandria, relaxed with GGA-PBE; Cu Kα).

Cell and atoms:
Cell: 10.674 10.674 3.772 Å, 90.00 90.00 90.00°
Space group P4/mbm (No. 127)
Unique sites:
Pm: 0.175 0.325 0.000 [4 per cell]
Th: 0.000 0.000 0.000 [2 per cell]
Pa: 0.132 0.632 0.000 [4 per cell]
Ru: 0.000 0.500 0.500 [2 per cell]
Ru: 0.057 0.793 0.500 [8 per cell]

Most intense lines, 2θ from 10° to 80°, most intense first:
index  Position (°2θ)  intensity
3 1 1  35.7  100.0
3 2 1  38.7  26.4
0 0 2  48.2  25.4
3 1 0  26.4  20.7
2 2 1  33.6  19.3
2 1 0  18.6  14.8
4 1 0  34.6  14.7
6 3 0  58.0  13.8
4 0 1  41.4  12.9
4 2 0  37.7  12.5

***

[6]
Structure and calculated powder X-ray diffraction pattern of PmY2PaRu2 (a crystal structure in Alexandria, relaxed with GGA-PBE; Cu Kα).

Cell and atoms:
Cell: 7.100 13.608 6.743 Å, 90.00 90.00 90.00°
Space group Ibam (No. 72)
Unique sites:
Pm: 0.000 0.000 0.250 [4 per cell]
Y: 0.173 0.299 0.000 [8 per cell]
Pa: 0.000 0.500 0.250 [4 per cell]
Ru: 0.199 0.399 0.500 [8 per cell]

Most intense lines, 2θ from 10° to 80°, most intense first:
index  Position (°2θ)  intensity
0 2 0  13.0  100.0
2 0 2  36.8  87.0
0 2 2  29.6  80.1
2 2 0  28.4  70.2
1 1 0  14.1  52.0
2 4 0  36.6  48.2
0 4 2  37.6  46.4